Wanted
The reader should copy the rows underneath from the line with "_cell_length_c 9.7732" to the end exactly.

Material
=====
# Li2FeP8O24 GGA+U relaxed
# * E_tot: -6.79 eV per atom
# * energy of formation: -2349 meV/atom
data_Li2FeP8O24
_chemical_formula_sum 'Li2 Fe1 P8 O24'
_symmetry_space_group_name_H-M 'P 1'
_symmetry_Int_Tables_number 1
_symmetry_space_group_name_Hall 'P 1'
_cell_length_a 7.2566
_cell_length_b 7.2975
_cell_length_c 9.7732
_cell_angle_alpha 69.58
_cell_angle_beta 82.02
_cell_angle_gamma 109.91
loop_
_atom_site_label
_atom_site_fract_x
_atom_site_fract_y
_atom_site_fract_z
_atom_site_occupancy
Li1 0.4879 0.9971 0.5053 1
Li2 0.0522 0.8024 0.7520 1
Fe1 0.9499 0.1949 0.2468 1
P1 0.7057 0.5079 0.2965 1
P2 0.2583 0.2919 0.4725 1
P3 0.6858 0.9927 0.8110 1
P4 0.3023 0.4963 0.6899 1
P5 0.7245 0.2721 0.9814 1
P6 0.2632 0.7309 0.0278 1
P7 0.7528 0.7056 0.5207 1
P8 0.3044 0.0031 0.2028 1
O1 0.1910 0.8672 0.9154 1
O2 0.4871 0.2055 0.0613 1
O3 0.7268 0.8985 0.4135 1
O4 0.7341 0.3052 0.3114 1
O5 0.7698 0.5546 0.4361 1
O6 0.2314 0.4446 0.5546 1
O7 0.8810 0.9604 0.8082 1
O8 0.9214 0.7435 0.5918 1
O9 0.8165 0.7020 0.1480 1
O10 0.5012 0.7878 0.9467 1
O11 0.4652 0.4576 0.3310 1
O12 0.0836 0.2521 0.4039 1
O13 0.1149 0.0451 0.1945 1
O14 0.2856 0.7980 0.1678 1
O15 0.6501 0.0355 0.6573 1
O16 0.1893 0.3071 0.8447 1
O17 0.8074 0.1428 0.0925 1
O18 0.3551 0.9629 0.3492 1
O19 0.2764 0.6942 0.6844 1
O20 0.8339 0.5111 0.9086 1
O21 0.1571 0.4890 0.0966 1
O22 0.6994 0.1926 0.8471 1
O23 0.5400 0.5421 0.6541 1
O24 0.2924 0.1118 0.5786 1

* * * * *

## w
Here is a relaxed Mn3O2F4 crystal from the Materials Project database. Energies are from PBE+U.

## Properties
- Symmetry: P-1

Structure (extended XYZ):
```
18
Lattice="4.8373 0.0000 0.0000 0.4731 5.7663 0.0000 0.4791 0.5647 7.9098" Properties=species:S:1:pos:R:3 pbc="T T T"
Mn 0.0000 0.0000 0.0000
Mn 0.5419 3.9553 2.6314
Mn 2.5760 1.2194 2.7009
Mn 2.6552 2.8831 0.0000
Mn 3.2136 5.1116 5.2088
Mn 5.2477 2.3757 5.2784
O 1.2938 2.3856 3.4991
O 1.3410 4.0946 0.8142
O 4.4485 2.2364 7.0955
O 4.4957 3.9454 4.4107
F 1.3639 0.6459 5.9945
F 1.6169 1.2120 0.8008
F 2.0966 5.2929 3.4347
F 2.1395 3.5481 6.1108
F 3.6500 2.7829 1.7989
F 3.6929 1.0381 4.4751
F 4.1727 5.1190 7.1089
F 4.4256 5.6851 1.9153
```

## x
Here is a relaxed Mn3O2F4 crystal from the Materials Project database. Energies are from PBE+U.

## Properties
- Symmetry: P-1

Structure (extended XYZ):
```
18
Lattice="4.6646 0.0000 0.0000 0.0062 4.7840 0.0000 0.0248 0.4407 9.7676" Properties=species:S:1:pos:R:3 pbc="T T T"
Mn 0.0000 0.0000 0.0000
Mn 0.1129 4.9159 6.5992
Mn 2.2471 2.2941 1.7125
Mn 2.3478 2.6124 4.8838
Mn 2.4485 2.9306 8.0551
Mn 4.5827 0.3088 3.1684
O 0.8129 1.0161 1.6472
O 1.5388 3.6667 6.5772
O 3.1568 1.5580 3.1904
O 3.8826 4.2087 8.1204
F 0.8997 1.0810 5.0176
F 1.1081 1.4295 8.1711
F 1.2455 3.5968 3.2357
F 1.4355 3.2654 0.1333
F 3.2600 1.9594 9.6343
F 3.4501 1.6279 6.5319
F 3.5874 3.7952 1.5965
F 3.7959 4.1438 4.7500
```

Energies in kJ/mol of atoms, measured from the most stable structure: w 0.9; x 0.0.

## w
Here is a relaxed MnFe2O3 crystal from the Materials Project database. Energies are from PBE+U.

## Properties
- Symmetry: Cmmm

Structure (extended XYZ):
```
12
Lattice="2.2355 -6.5978 0.0000 2.2355 6.5978 0.0000 0.0000 0.0000 4.4710" Properties=species:S:1:pos:R:3 pbc="T T T"
Mn 2.2355 4.4155 0.0000
Mn 2.2355 -4.4155 0.0000
Fe 0.0000 0.0000 2.2355
Fe 2.2355 2.2270 2.2355
Fe 2.2355 0.0000 0.0000
Fe 2.2355 -2.2270 2.2355
O 0.0000 0.0000 0.0000
O 2.2355 4.3670 2.2355
O 2.2355 2.1674 0.0000
O 2.2355 0.0000 2.2355
O 2.2355 -2.1674 0.0000
O 2.2355 -4.3670 2.2355
```

## x
Here is a relaxed MnFe2O3 crystal from the Materials Project database. Energies are from PBE+U.

## Properties
- Symmetry: Immm

Structure (extended XYZ):
```
12
Lattice="3.2117 0.0000 0.0000 0.0000 4.2772 0.0000 0.0000 0.0000 9.5587" Properties=species:S:1:pos:R:3 pbc="T T T"
Mn 0.0000 0.0000 0.0000
Mn 1.6058 2.1386 4.7794
Fe 0.0000 0.0000 3.1924
Fe 0.0000 0.0000 6.3664
Fe 1.6058 2.1386 1.5870
Fe 1.6058 2.1386 7.9717
O 0.0000 2.1386 0.0000
O 0.0000 2.1386 3.1623
=====

Result
_cell_length_c 9.7732
_cell_angle_alpha 69.58
_cell_angle_beta 82.02
_cell_angle_gamma 109.91
loop_
_atom_site_label
_atom_site_fract_x
_atom_site_fract_y
_atom_site_fract_z
_atom_site_occupancy
Li1 0.4879 0.9971 0.5053 1
Li2 0.0522 0.8024 0.7520 1
Fe1 0.9499 0.1949 0.2468 1
P1 0.7057 0.5079 0.2965 1
P2 0.2583 0.2919 0.4725 1
P3 0.6858 0.9927 0.8110 1
P4 0.3023 0.4963 0.6899 1
P5 0.7245 0.2721 0.9814 1
P6 0.2632 0.7309 0.0278 1
P7 0.7528 0.7056 0.5207 1
P8 0.3044 0.0031 0.2028 1
O1 0.1910 0.8672 0.9154 1
O2 0.4871 0.2055 0.0613 1
O3 0.7268 0.8985 0.4135 1
O4 0.7341 0.3052 0.3114 1
O5 0.7698 0.5546 0.4361 1
O6 0.2314 0.4446 0.5546 1
O7 0.8810 0.9604 0.8082 1
O8 0.9214 0.7435 0.5918 1
O9 0.8165 0.7020 0.1480 1
O10 0.5012 0.7878 0.9467 1
O11 0.4652 0.4576 0.3310 1
O12 0.0836 0.2521 0.4039 1
O13 0.1149 0.0451 0.1945 1
O14 0.2856 0.7980 0.1678 1
O15 0.6501 0.0355 0.6573 1
O16 0.1893 0.3071 0.8447 1
O17 0.8074 0.1428 0.0925 1
O18 0.3551 0.9629 0.3492 1
O19 0.2764 0.6942 0.6844 1
O20 0.8339 0.5111 0.9086 1
O21 0.1571 0.4890 0.0966 1
O22 0.6994 0.1926 0.8471 1
O23 0.5400 0.5421 0.6541 1
O24 0.2924 0.1118 0.5786 1

* * * * *

## w
Here is a relaxed Mn3O2F4 crystal from the Materials Project database. Energies are from PBE+U.

## Properties
- Symmetry: P-1

Structure (extended XYZ):
```
18
Lattice="4.8373 0.0000 0.0000 0.4731 5.7663 0.0000 0.4791 0.5647 7.9098" Properties=species:S:1:pos:R:3 pbc="T T T"
Mn 0.0000 0.0000 0.0000
Mn 0.5419 3.9553 2.6314
Mn 2.5760 1.2194 2.7009
Mn 2.6552 2.8831 0.0000
Mn 3.2136 5.1116 5.2088
Mn 5.2477 2.3757 5.2784
O 1.2938 2.3856 3.4991
O 1.3410 4.0946 0.8142
O 4.4485 2.2364 7.0955
O 4.4957 3.9454 4.4107
F 1.3639 0.6459 5.9945
F 1.6169 1.2120 0.8008
F 2.0966 5.2929 3.4347
F 2.1395 3.5481 6.1108
F 3.6500 2.7829 1.7989
F 3.6929 1.0381 4.4751
F 4.1727 5.1190 7.1089
F 4.4256 5.6851 1.9153
```

## x
Here is a relaxed Mn3O2F4 crystal from the Materials Project database. Energies are from PBE+U.

## Properties
- Symmetry: P-1

Structure (extended XYZ):
```
18
Lattice="4.6646 0.0000 0.0000 0.0062 4.7840 0.0000 0.0248 0.4407 9.7676" Properties=species:S:1:pos:R:3 pbc="T T T"
Mn 0.0000 0.0000 0.0000
Mn 0.1129 4.9159 6.5992
Mn 2.2471 2.2941 1.7125
Mn 2.3478 2.6124 4.8838
Mn 2.4485 2.9306 8.0551
Mn 4.5827 0.3088 3.1684
O 0.8129 1.0161 1.6472
O 1.5388 3.6667 6.5772
O 3.1568 1.5580 3.1904
O 3.8826 4.2087 8.1204
F 0.8997 1.0810 5.0176
F 1.1081 1.4295 8.1711
F 1.2455 3.5968 3.2357
F 1.4355 3.2654 0.1333
F 3.2600 1.9594 9.6343
F 3.4501 1.6279 6.5319
F 3.5874 3.7952 1.5965
F 3.7959 4.1438 4.7500
```

Energies in kJ/mol of atoms, measured from the most stable structure: w 0.9; x 0.0.

## w
Here is a relaxed MnFe2O3 crystal from the Materials Project database. Energies are from PBE+U.

## Properties
- Symmetry: Cmmm

Structure (extended XYZ):
```
12
Lattice="2.2355 -6.5978 0.0000 2.2355 6.5978 0.0000 0.0000 0.0000 4.4710" Properties=species:S:1:pos:R:3 pbc="T T T"
Mn 2.2355 4.4155 0.0000
Mn 2.2355 -4.4155 0.0000
Fe 0.0000 0.0000 2.2355
Fe 2.2355 2.2270 2.2355
Fe 2.2355 0.0000 0.0000
Fe 2.2355 -2.2270 2.2355
O 0.0000 0.0000 0.0000
O 2.2355 4.3670 2.2355
O 2.2355 2.1674 0.0000
O 2.2355 0.0000 2.2355
O 2.2355 -2.1674 0.0000
O 2.2355 -4.3670 2.2355
```

## x
Here is a relaxed MnFe2O3 crystal from the Materials Project database. Energies are from PBE+U.

## Properties
- Symmetry: Immm

Structure (extended XYZ):
```
12
Lattice="3.2117 0.0000 0.0000 0.0000 4.2772 0.0000 0.0000 0.0000 9.5587" Properties=species:S:1:pos:R:3 pbc="T T T"
Mn 0.0000 0.0000 0.0000
Mn 1.6058 2.1386 4.7794
Fe 0.0000 0.0000 3.1924
Fe 0.0000 0.0000 6.3664
Fe 1.6058 2.1386 1.5870
Fe 1.6058 2.1386 7.9717
O 0.0000 2.1386 0.0000
O 0.0000 2.1386 3.1623